Sargent's portrait of Virginie Gautreau was first exhibited in 1884 at the Salon, held at the Palais des Champs-Elysées in Paris.
The painting originally showed one of the jewelled straps of the sitter's dress slipping off her shoulder, as can be seen in the photograph nearby. Sargent insisted he painted Gautreau 'exactly as she was dressed', and Gautreau herself described the portrait as a masterpiece in a letter to a friend. Nonetheless, at the Salon the painting was ridiculed by both critics and the public, and many commentators denounced the 'indecency' of the dress as a bid for attention. Gautreau's own mother lamented the cost to her daughter's reputation. The strap was subsequently repainted and Sargent left Paris soon afterwards, his own reputation also somewhat damaged.
The portrait can also be seen as a daring intervention into the conventions of Parisian society by two ambitious figures of North American origin. Sargent kept the portrait until after Gautreau's death in 1915, when he sold it to the Metropolitan Museum of Art in New York. In a letter to the institution's director, Sargent wrote I suppose it is the best thing I have done.
### Inserted here: materials data
********
VASP calculation (GGA-PBE) on an optimized crystal structure of Na14Ca4Nb4Si9S3O48.

## Properties
Calculated volume, Å³/atom: 13.9
Energy relative to the elements, eV per atom: -2.75
Total energy, eV/atom: -6.8063
Space group: P1, No. 1

a = 18.6616 Å, b = 9.3373 Å, c = 22.6071 Å
α = 89.89°, β = 90.23°, γ = 120.07°
Positions (direct):
Na (0.8232, 0.0109, 0.2583)
Na (0.1690, 0.3399, 0.2503)
Na (0.6598, 0.3475, 0.2530)
Na (0.0119, 0.6638, 0.2436)
Na (0.5119, 0.6532, 0.2553)
Na (0.3228, 0.6341, 0.7622)
Na (0.0116, 0.3691, 0.7597)
Na (0.5096, 0.3632, 0.7472)
Na (0.1619, 0.9751, 0.7580)
Na (0.6633, 0.9852, 0.7555)
Na (0.1436, 0.3055, 0.5903)
Na (0.6418, 0.3079, 0.5921)
Na (0.3426, 0.9970, 0.5803)
Na (0.8342, 0.9708, 0.5943)
Na (0.1446, 0.9805, 0.0929)
Na (0.6374, 0.9744, 0.0901)
Na (0.3448, 0.6959, 0.0914)
Na (0.8407, 0.6927, 0.0746)
Na (0.4784, 0.6616, 0.9212)
Na (0.9760, 0.6449, 0.9219)
Na (0.3529, 0.0517, 0.9176)
Na (0.8487, 0.0377, 0.9171)
Na (0.1696, 0.2904, 0.9290)
Na (0.6674, 0.2777, 0.9187)
Na (0.4766, 0.3095, 0.4203)
Na (0.9820, 0.3005, 0.4062)
Na (0.1704, 0.0607, 0.4133)
Na (0.6691, 0.0479, 0.4269)
Na (0.3500, 0.6585, 0.4121)
Na (0.8505, 0.6533, 0.4132)
Na (0.0177, 0.9896, 0.4986)
Na (0.5111, 0.0063, 0.5041)
Na (0.0123, 0.0198, 0.0076)
Na (0.5146, 0.0226, 0.0052)
Na (0.3317, 0.3302, 0.8427)
Na (0.8310, 0.3359, 0.8448)
Na (0.3302, 0.3213, 0.3373)
Na (0.8326, 0.3358, 0.3376)
Na (0.1726, 0.6725, 0.1687)
Na (0.6457, 0.6376, 0.1687)
Na (0.1488, 0.6533, 0.6728)
Na (0.6680, 0.6696, 0.6722)
Ca (0.0086, 0.0190, 0.3485)
Ca (0.5070, 0.9936, 0.8509)
Ca (0.9977, 0.9952, 0.6534)
Ca (0.5088, 0.9988, 0.6526)
Ca (0.0093, 0.0170, 0.1536)
Ca (0.4970, 0.9977, 0.1524)
Ca (0.3365, 0.3328, 0.9856)
Ca (0.8308, 0.3306, 0.9811)
Ca (0.3305, 0.3305, 0.4802)
Ca (0.8360, 0.3403, 0.4838)
Ca (0.6649, 0.6664, 0.3176)
Ca (0.1642, 0.6624, 0.8183)
Nb (0.5030, 0.0130, 0.3496)
Nb (0.0012, 0.9907, 0.8505)
Nb (0.3317, 0.3215, 0.6820)
Nb (0.8321, 0.3229, 0.6912)
Nb (0.3391, 0.3558, 0.1875)
Nb (0.8328, 0.3420, 0.1812)
Nb (0.1514, 0.6478, 0.0194)
Nb (0.6600, 0.6495, 0.0196)
Nb (0.1694, 0.6858, 0.5155)
Nb (0.6510, 0.6548, 0.5200)
Nb (0.1674, 0.6688, 0.3137)
Nb (0.6672, 0.6657, 0.8158)
Si (0.1587, 0.0039, 0.2488)
Si (0.6548, 0.0106, 0.2475)
Si (0.3496, 0.7024, 0.2492)
Si (0.9958, 0.3082, 0.2544)
Si (0.4979, 0.3019, 0.2479)
Si (0.1527, 0.2978, 0.7461)
Si (0.6543, 0.3121, 0.7494)
Si (0.9992, 0.6970, 0.7475)
Si (0.4956, 0.6836, 0.7540)
Si (0.8489, 0.9956, 0.7486)
Si (0.4806, 0.3275, 0.5774)
Si (0.1803, 0.0231, 0.5778)
Si (0.6888, 0.0295, 0.5795)
Si (0.4866, 0.6316, 0.0787)
Si (0.9812, 0.6350, 0.0774)
Si (0.1882, 0.3471, 0.0795)
Si (0.6816, 0.3382, 0.0774)
Si (0.8144, 0.6755, 0.9178)
Si (0.0163, 0.3513, 0.9120)
Si (0.5196, 0.3662, 0.9134)
Si (0.1658, 0.9604, 0.9125)
Si (0.6630, 0.9478, 0.9193)
Si (0.3170, 0.9593, 0.4137)
Si (0.1618, 0.3777, 0.4204)
Si (0.6659, 0.3715, 0.4136)
Si (0.0208, 0.6723, 0.4129)
Si (0.5164, 0.6815, 0.4122)
S (0.8495, 0.6926, 0.2471)
S (0.3493, 0.0053, 0.7462)
********
What to wear
What you wear for your session is a really important part of the overall look and feel of your professional portrait. I try to keep the focus on the subject - therefore, simple clothing choices are best for creating a timeless look. It's good to show your individual style and personality through the clothes you select, but remember clothing should compliment your look, not complicate it!
Group shots work best when families wear the same tone, not necessarily the same colour.
Clothes that are similar in style give a more coordinated look too. Consider dressing in white sparingly, because it often reflects light strongly and avoid busy patterns or logos/words that can be distracting. All of this said if you want to make a statement and the painting is as much about the clothing as it is your body then a full length white dress or bold patterns or logos might be right for you and I can have a lot of fun with that!
Please feel free to discuss something sentimental with me, whether it is clothing, Jewellery or and object or when looking at larger pieces, the setting can be in your own home or place you love. Families please do bring a favourite toy and I love it when we have a much loved teddy along with us - it all helps to tell your child's story.
In the Gallery there are some examples of different clothing looks that might be a starting point in considering what you might wear on the day. You might like to think a little out the box; for example maybe have your children painted in fancy dress to represent something they love doing at that particular time or capturing you working on your current project or sat in your happy place with your pet.
Feel free to contact me, I am always happy to advise and help you plan! You are welcome to send me a photo of your clothes laid out before the session if you'd like my opinion on works well together.